The internet is all about arguing. We can’t get enough of it. We argue about politics. We argue about pop culture. We argue about …well, that’s mostly it, unfortunately. Politics is a subject that demands complex nuance, a finely tuned moral compass, rigorous education and compassionate empathy, so it only makes sense that we’d talk about it on the internet, which has none of those things. That’s why we need to get away from online political debates and start arguing about stuff the internet is actually good at: like an arbitrary ranking of the states in the U.S.
Quantum chemistry results from another source follow =
********
Formula: C2H3ClFP
Source: the OMol25 dataset
Level of theory: ωB97M-V with the def2-TZVPD basis set

SMILES = FP1C[C@H]1Cl
LUMO level = -0.1 eV
orbital gap = 10.14 eV
E_tot = -26650.191 eV

Last column: natural (NBO) charge in e.
CARTESIAN COORDINATES (ANGSTROEM)
Cl: 2.4582 0.3133 -0.0080  -0.2184
P: -0.2359 -1.3127 0.5108  1.1342
F: -1.5071 -1.5014 -0.5427  -0.5869
C: -0.3380 0.5127 0.5177  -0.7586
C: 0.4654 -0.0346 -0.5209  -0.3691
H: 0.1619 0.7797 1.4327  0.2657
H: 0.1251 0.0443 -1.5696  0.2661
H: -1.1295 1.1987 0.1800  0.2669

Cartesian forces, eV/Å:
-2.44 -0.57 -1.22
-1.61 -0.22 -1.15
0.40 -0.70 0.58
-1.07 1.37 0.83
3.58 0.18 -0.38
0.19 0.59 0.08
0.96 0.05 0.63
-0.02 -0.70 0.63

Formula: C4H9NO2
Source: the OMol25 dataset
Level of theory: ωB97M-V with the def2-TZVPD basis set

SMILES = N[C@@H](C=O)CCO
LUMO level = 0.9 eV
orbital gap = 10.20 eV
E_tot = -9878.450 eV

Last column: natural (NBO) charge in e.
CARTESIAN COORDINATES (ANGSTROEM)
O: -1.9459 -0.8464 -1.1541  -0.7266
O: 2.0269 -0.1021 2.2692  -0.5278
N: 1.7202 -0.0396 -0.5105  -0.8252
C: 0.6009 -0.3835 0.3404  -0.1657
C: -0.5843 0.5760 0.1968  -0.4101
C: 0.9580 -0.4335 1.8303  0.4317
C: -1.3335 0.4406 -1.1196  -0.0656
H: 0.1473 -0.7635 2.5055  0.1032
H: -2.2256 -0.9857 -2.0644  0.4721
H: -0.6547 0.6014 -1.9572  0.1816
H: 2.4653 -0.7188 -0.3860  0.3683
H: -0.1641 1.5876 0.2530  0.2091
H: -1.2610 0.3734 1.0286  0.2136
H: -2.1053 1.2210 -1.0694  0.1616
H: 0.2571 -1.3883 0.0780  0.2195
H: 2.0987 0.8614 -0.2404  0.3604

Cartesian forces, eV/Å:
0.19 0.20 -0.36
0.00 -0.06 0.05
-0.16 -0.03 -0.17
0.16 -0.22 0.51
0.73 -0.34 -0.39
0.09 0.18 -0.41
-0.24 0.23 0.99
-0.09 -0.09 0.06
-0.08 -0.20 0.12
-0.04 -0.02 -0.07
-0.06 0.16 -0.04
-0.34 0.03 0.22
-0.17 0.32 -0.04
0.04 -0.06 -0.49
-0.08 -0.06 -0.03
0.06 -0.04 0.06

Formula: C9H10GaN2O4
Source: the OMol25 dataset
Level of theory: ωB97M-V with the def2-TZVPD basis set

LUMO level = -13.4 eV
orbital gap = 6.42 eV
E_tot = -73006.015 eV
total charge = +3

Last column: natural (NBO) charge in e.
CARTESIAN COORDINATES (ANGSTROEM)
Ga: 0.0037 -0.0078 -0.5663  1.0405
O: -3.2988 0.2216 -1.0745  -0.2244
O: 3.3057 -0.0984 -1.0160  -0.2194
O: -0.1501 -3.5472 -0.9498  -0.2555
O: 0.1714 3.6017 -0.7344  -0.2638
N: -0.0205 -0.0505 4.0445  -0.3956
N: -0.0200 -0.0602 1.5581  -0.7292
C: 2.1849 -0.0804 -0.7512  0.5633
C: 0.0346 0.6883 -2.6452  -0.4886
C: -0.0202 -0.0617 2.7408  0.7794
C: -0.1065 -2.4167 -0.7518  0.5612
C: -0.0322 -0.7221 -2.7265  -0.3541
C: 0.1183 2.4577 -0.6278  0.5589
C: -2.1847 0.1274 -0.7723  0.5644
C: -1.0671 0.6757 4.7949  -0.4111
C: 1.0625 -0.6996 4.8107  -0.4111
H: -2.0646 0.2853 4.5445  0.2393
H: -0.8701 0.5637 5.8713  0.2692
H: -1.0812 1.7400 4.5180  0.2368
H: -0.8689 1.3016 -2.8185  0.3015
H: -0.9895 -1.2186 -2.9462  0.2958
H: 2.0407 -0.2851 4.5322  0.2366
H: 1.1124 -1.7724 4.5778  0.2397
H: 0.8733 -1.3074 -2.9477  0.2959
H: 0.9926 1.2140 -2.8181  0.3016
H: 0.8747 -0.5495 5.8832  0.2688

Cartesian forces, eV/Å:
-0.08 -0.04 3.35
********
That’s what YouGov has done, and they’ve found a good way to do it too. They gave hundreds of respondents two randomly selected states and told them to pick which one was better. No reasons. No logic. Just pure gut feeling about which state you prefer. Then YouGov ranked all the states based on which one was picked favorably the most number of times by percentage. So it’s less of a bracket and more of a Mortal Kombat-type situation. In any case, here’s what they found.
Hmmm. OK, let’s break this down. First up, Hawaii, yes, sure. Fine. A small cluster of lush islands nestled in the sapphire waves of the Pacific Ocean has a sliiiiight edge over the lower 48, but we’ll let them have it. Then you’ve got Colorado, which is great for anyone who loves the mountains and uh, certain substances frowned upon by law enforcement in many other states. And then there’s Virginia, with both mountains and beaches, so no huge surprise there either. After that is where things start to get interesting and where we can start to have a good, old-fashioned internet argument.
There’s no real rhyme or reason to the top ten, which are literally all over the map. The Midwest and the Pacific Northwest are the only places not really presented in the elite ten, with North Carolina, Georgia and Florida in the Southeast; Texas, Arizona and Nevada in the Southwest; Virginia and New York on the East Coast; and Colorado in the Mountain States. The bottom ten is made up mostly of Southern and Midwestern states, with the exceptions being New Jersey and — dead last by a healthy margin — Washington D.C. The inclusion of the nation’s capital here is a point of argument it self, since D.C. is not officially a state although that is currently a matter of some debate. If D.C. ever does become a state, it has some PR work to do
== Records of molecules, kept here for reference ==
┌──
Entry 1:
C47H50Br2FN9OS | ωB97M-V/def2-TZVPD

**LUMO**: -0.721 eV
**E_tot**: -218633.814 eV
**Charge**: 0
**HOMO-LUMO gap**: 0.2981 Ha

Positions of all 111 atoms, in Å:
C1 2.283 -4.071 -2.094
C2 1.699 -2.510 -1.953
C3 1.669 -2.061 -0.363
F1 3.062 -1.969 0.108
C4 0.710 -0.774 -0.034
C5 -0.819 -1.448 0.139
N1 -2.009 -1.971 0.278
C6 0.501 0.250 -1.343
C7 -0.892 -0.078 -2.183
O1 -0.952 -0.680 -3.374
C8 0.978 -0.014 1.375
S1 0.814 -1.294 2.787
C9 -0.230 1.096 1.704
N2 -1.280 1.854 1.888
C10 2.383 0.736 1.614
Br1 3.562 -0.298 2.923
C11 3.266 1.172 0.320
C12 2.988 2.719 -0.219
Br2 5.210 1.171 0.940
H1 3.043 -4.145 -3.008
H2 1.359 -4.753 -2.420
H3 2.719 -4.488 -1.090
H4 2.470 -1.845 -2.571
H5 0.643 -2.531 -2.463
H6 1.183 -2.989 0.211
H7 0.386 1.386 -0.996
H8 1.464 0.261 -2.049
H9 -1.934 0.292 -1.735
H10 0.591 -2.576 2.265
H11 2.144 1.746 2.207
H12 3.184 0.481 -0.620
H13 2.002 3.192 0.202
H14 2.853 2.666 -1.399
H15 3.950 3.400 -0.054
N3 0.443 4.003 -2.330
C13 -0.007 3.991 -3.604
C14 -1.032 4.800 -4.067
C15 -1.637 5.674 -3.170
C16 -1.197 5.709 -1.851
C17 -0.163 4.863 -1.482
H16 0.495 3.290 -4.264
H17 -1.351 4.750 -5.102
H18 -2.444 6.323 -3.496
H19 -1.648 6.378 -1.127
H20 0.219 4.856 -0.465
N4 4.133 -4.319 -5.139
C18 5.110 -4.974 -4.475
C19 6.379 -5.190 -4.988
C20 6.665 -4.709 -6.262
C21 5.678 -4.033 -6.972
C22 4.440 -3.863 -6.373
H21 4.838 -5.332 -3.487
H22 7.127 -5.720 -4.409
H23 7.648 -4.861 -6.698
H24 5.868 -3.647 -7.966
H25 3.638 -3.338 -6.884
N5 5.735 -3.321 6.784
C23 4.869 -3.963 7.598
C24 3.498 -3.987 7.400
C25 2.980 -3.308 6.302
C26 3.846 -2.636 5.446
C27 5.203 -2.673 5.726
H26 5.321 -4.475 8.443
H27 2.849 -4.521 8.085
H28 1.910 -3.303 6.115
H29 3.474 -2.097 4.582
H30 5.920 -2.166 5.085
N6 9.214 1.989 2.798
C28 8.339 1.378 1.969
C29 8.616 0.205 1.285
C30 9.868 -0.377 1.456
C31 10.791 0.230 2.302
C32 10.420 1.399 2.946
H31 7.377 1.872 1.866
H32 7.874 -0.243 0.634
H33 10.122 -1.295 0.935
H34 11.775 -0.198 2.457
H35 11.104 1.909 3.619
N7 -4.462 7.489 -2.564
C33 -5.328 6.847 -1.749
C34 -6.700 6.823 -1.948
C35 -7.218 7.502 -3.045
C36 -6.351 8.175 -3.901
C37 -4.995 8.138 -3.622
H36 -4.876 6.335 -0.905
H37 -7.348 6.289 -1.263
H38 -8.287 7.507 -3.233
H39 -6.724 8.713 -4.765
H40 -4.278 8.644 -4.262
N8 -6.977 -1.748 1.094
C38 -7.472 -0.523 1.376
C39 -6.683 0.581 1.658
C40 -5.302 0.420 1.655
C41 -4.762 -0.829 1.370
C42 -5.632 -1.872 1.096
H41 -8.556 -0.449 1.370
H42 -7.135 1.542 1.876
H43 -4.651 1.262 1.873
H44 -3.689 -0.987 1.360
H45 -5.260 -2.866 0.864
N9 -11.409 -4.627 2.284
C43 -10.204 -4.173 1.874
C44 -9.779 -2.864 2.034
C45 -10.640 -1.962 2.650
C46 -11.888 -2.399 3.082
C47 -12.223 -3.729 2.880
H46 -9.569 -4.913 1.396
H47 -8.799 -2.555 1.687
H48 -10.342 -0.928 2.792
H49 -12.583 -1.722 3.565
H50 -13.184 -4.119 3.203

Cartesian forces (eV/Å) of the 2 atoms listed first:
C -0.9 -0.2 -0.7
C 1.1 -0.7 -0.2

---

Entry 2:
C3H4S2 | ωB97M-V/def2-TZVPD

**LUMO**: -1.489 eV
└──
For what it’s worth, the survey did note that respondents chose their home state when it was an option 77 percent of the time, virtually the same amount of times as they chose their current state of residence (assuming it was different than their home state). So it seems like whatever your state ranking, most Americans are pretty happy with where they’re at. That’s something nobody can argue about.
**Inserted here: molecular data**
=====
Entry 1:
The following is a DFT calculation (ωB97M-V/def2-TZVPD) of C26H28MoN6O9S as an isolated structure.

Element x y z (Å)
Mo1 0.145 -0.126 -0.110
O1 -0.484 -1.732 1.631
C1 -0.664 -3.136 1.663
C2 -0.751 -3.634 0.248
C3 -1.185 -4.925 -0.024
C4 -1.227 -5.342 -1.341
C5 -0.846 -4.452 -2.335
C6 -0.437 -3.183 -1.971
N1 -0.384 -2.777 -0.697
H1 -0.030 -1.395 2.442
H2 -1.579 -3.381 2.210
H3 0.178 -3.613 2.174
H4 -1.480 -5.579 0.786
H5 -1.554 -6.343 -1.590
H6 -0.860 -4.733 -3.379
H7 -0.128 -2.452 -2.705
O2 6.393 -1.871 -0.455
C7 5.184 -2.474 -0.604
O3 5.086 -3.522 -1.159
C8 4.057 -1.757 0.057
C9 3.960 -1.496 1.414
N2 2.746 -0.976 1.642
N3 2.069 -0.858 0.497
C10 2.834 -1.327 -0.477
C11 2.279 -1.220 -1.883
O4 2.968 -1.546 -2.824
O5 1.067 -0.770 -1.913
H8 6.265 -0.970 -0.134
H9 4.650 -1.687 2.219
H10 2.266 -0.698 2.502
O6 0.523 1.446 -0.407
C12 -7.279 1.103 -1.090
C13 -6.509 0.216 -2.064
C14 -5.000 0.292 -1.899
N4 -4.618 -0.187 -0.576
C15 -3.363 -0.330 -0.170
S1 -2.084 -0.118 -1.256
N5 -3.116 -0.759 1.101
C16 -3.968 -0.991 2.182
O7 -3.670 -1.840 2.991
C17 -5.188 -0.145 2.338
C18 -5.142 1.225 2.083
C19 -6.266 1.999 2.334
C20 -7.430 1.409 2.807
C21 -7.474 0.042 3.051
C22 -6.347 -0.735 2.833
H11 -8.348 1.073 -1.300
H12 -6.948 2.140 -1.165
H13 -7.149 0.794 -0.049
H14 -6.738 0.510 -3.089
H15 -6.831 -0.825 -1.964
H16 -4.644 1.318 -2.022
H17 -4.496 -0.317 -2.651
H18 -5.361 -0.358 0.083
H19 -2.157 -1.066 1.270
H20 -4.233 1.680 1.705
H21 -6.231 3.065 2.153
H22 -8.307 2.016 2.989
H23 -8.382 -0.415 3.423
H24 -6.350 -1.796 3.047
O8 -2.213 2.272 1.085
C23 -1.424 1.965 1.949
C24 -1.237 2.734 3.252
C25 -0.277 1.865 4.048
C26 0.045 0.744 3.086
O9 0.814 -0.199 3.387
N6 -0.585 0.856 1.912
H25 -2.206 2.884 3.726
H26 -0.835 3.718 3.009
H27 -0.710 1.440 4.953
H28 0.650 2.362 4.335

As for the net charge: 0.


Entry 2:
The following is a DFT calculation (ωB97M-V/def2-TZVPD) of C26H28N4SbSe4Zr as an isolated structure.

Element x y z (Å)
Zr1 0.123 -0.760 -0.693
Se1 -0.733 -3.728 -4.089
Sb1 0.993 -3.159 -2.589
Se2 1.359 -0.518 -2.828
Se3 -0.212 -3.134 -0.147
Se4 3.109 -4.111 -2.295
C1 2.498 -2.675 2.434
C2 3.398 -2.138 1.355
C3 4.604 -2.784 1.106
C4 5.503 -2.292 0.178
C5 5.220 -1.125 -0.511
C6 4.025 -0.445 -0.311
C7 3.788 0.849 -1.041
C8 3.129 -0.986 0.612
N1 1.842 -0.329 0.773
C9 1.576 0.321 1.837
C10 2.504 0.541 2.979
C11 0.188 0.944 1.888
C12 -0.169 1.790 3.057
N2 -0.588 0.691 0.899
C13 -1.876 1.345 0.789
C14 -3.029 0.618 1.073
C15 -2.997 -0.802 1.570
C16 -4.250 1.254 0.865
C17 -4.307 2.549 0.383
C18 -3.139 3.241 0.099
C19 -1.896 2.651 0.293
C20 -0.635 3.406 -0.032
H1 2.428 -3.759 2.357
H2 1.483 -2.286 2.389
H3 2.913 -2.444 3.419
H4 4.831 -3.691 1.653
H5 6.430 -2.816 -0.009
H6 5.932 -0.730 -1.225
H7 3.876 0.705 -2.118
H8 4.538 1.584 -0.743
H9 2.806 1.279 -0.850
H10 3.490 0.141 2.760
H11 2.116 0.048 3.874
H12 2.583 1.605 3.203
H13 -0.024 1.217 3.975
H14 -1.195 2.141 3.004
H15 0.504 2.648 3.116
H16 -3.683 -0.926 2.408
H17 -2.009 -1.121 1.901
H18 -3.315 -1.494 0.786
=====
You can read more about the methodology here.